• Excerpt:
........
The following is a quantum chemistry calculation of a structure of composition C24H64BrN4O8 in a non-equilibrium geometry, from the Open Molecules 2025 dataset.

The geometry in ORCA input format:
```
! RIJCOSX wB97M-V def2-TZVPD def2/J DEFGRID3
* xyz 3 1
Br -0.15 0.18 -0.23
C -2.57 1.45 1.96
O -3.05 1.30 0.61
C -4.00 0.31 0.21
C -3.78 0.13 -1.36
N -2.41 -0.46 -1.66
H -2.09 -0.13 -2.56
H -1.80 -0.02 -0.99
C -2.01 -1.99 -1.49
C -3.09 -2.99 -1.75
O -3.59 -2.79 -3.07
C -2.78 -3.25 -4.17
H -1.77 0.72 2.11
H -3.32 1.08 2.66
H -2.23 2.45 2.20
H -5.05 0.57 0.36
H -3.83 -0.64 0.70
H -3.74 1.03 -1.97
H -4.41 -0.64 -1.80
H -1.84 -2.05 -0.42
H -1.02 -2.13 -1.92
H -3.80 -2.76 -0.96
H -2.82 -4.04 -1.65
H -3.01 -4.30 -4.30
H -1.73 -3.13 -3.93
H -3.04 -2.73 -5.09
C 3.53 3.98 -1.28
O 2.92 2.72 -0.92
C 3.39 2.38 0.37
C 2.34 1.37 1.07
N 1.05 2.14 1.32
H 0.95 2.78 0.54
H 0.31 1.46 1.24
C 1.11 2.95 2.60
C -0.22 3.41 3.16
O -1.24 2.43 2.81
C -2.15 2.14 3.90
H 4.58 3.88 -1.57
H 3.47 4.72 -0.49
H 2.98 4.21 -2.19
H 3.51 3.24 1.04
H 4.37 1.92 0.27
H 2.67 0.94 2.01
H 2.01 0.56 0.42
H 1.50 3.91 2.27
H 1.78 2.49 3.33
H -0.62 4.31 2.71
H -0.12 3.64 4.22
H -2.38 2.96 4.57
H -1.59 1.43 4.51
H -2.98 1.53 3.54
C 0.88 4.15 -4.90
O 0.78 2.97 -4.00
C 2.03 2.65 -3.47
C 1.83 1.83 -2.21
N 1.07 0.55 -2.45
H 0.75 0.00 -1.66
H 0.18 0.92 -2.77
C 1.72 -0.48 -3.43
C 1.87 -1.87 -2.81
O 0.64 -2.42 -2.36
C 0.79 -3.70 -1.75
H -0.07 4.45 -5.35
H 1.50 3.97 -5.77
H 1.18 4.99 -4.28
H 2.40 3.63 -3.14
H 2.68 2.12 -4.16
H 1.30 2.51 -1.56
H 2.70 1.52 -1.62
H 2.68 -0.08 -3.78
H 1.10 -0.59 -4.32
H 2.51 -1.79 -1.93
H 2.45 -2.43 -3.55
H 1.26 -4.42 -2.42
H -0.09 -4.22 -1.36
H 1.32 -3.46 -0.82
C 4.07 -4.08 1.72
........
• Activity:
It remains to retype the material above exactly.
• Worked solution:
The following is a quantum chemistry calculation of a structure of composition C24H64BrN4O8 in a non-equilibrium geometry, from the Open Molecules 2025 dataset.

The geometry in ORCA input format:
```
! RIJCOSX wB97M-V def2-TZVPD def2/J DEFGRID3
* xyz 3 1
Br -0.15 0.18 -0.23
C -2.57 1.45 1.96
O -3.05 1.30 0.61
C -4.00 0.31 0.21
C -3.78 0.13 -1.36
N -2.41 -0.46 -1.66
H -2.09 -0.13 -2.56
H -1.80 -0.02 -0.99
C -2.01 -1.99 -1.49
C -3.09 -2.99 -1.75
O -3.59 -2.79 -3.07
C -2.78 -3.25 -4.17
H -1.77 0.72 2.11
H -3.32 1.08 2.66
H -2.23 2.45 2.20
H -5.05 0.57 0.36
H -3.83 -0.64 0.70
H -3.74 1.03 -1.97
H -4.41 -0.64 -1.80
H -1.84 -2.05 -0.42
H -1.02 -2.13 -1.92
H -3.80 -2.76 -0.96
H -2.82 -4.04 -1.65
H -3.01 -4.30 -4.30
H -1.73 -3.13 -3.93
H -3.04 -2.73 -5.09
C 3.53 3.98 -1.28
O 2.92 2.72 -0.92
C 3.39 2.38 0.37
C 2.34 1.37 1.07
N 1.05 2.14 1.32
H 0.95 2.78 0.54
H 0.31 1.46 1.24
C 1.11 2.95 2.60
C -0.22 3.41 3.16
O -1.24 2.43 2.81
C -2.15 2.14 3.90
H 4.58 3.88 -1.57
H 3.47 4.72 -0.49
H 2.98 4.21 -2.19
H 3.51 3.24 1.04
H 4.37 1.92 0.27
H 2.67 0.94 2.01
H 2.01 0.56 0.42
H 1.50 3.91 2.27
H 1.78 2.49 3.33
H -0.62 4.31 2.71
H -0.12 3.64 4.22
H -2.38 2.96 4.57
H -1.59 1.43 4.51
H -2.98 1.53 3.54
C 0.88 4.15 -4.90
O 0.78 2.97 -4.00
C 2.03 2.65 -3.47
C 1.83 1.83 -2.21
N 1.07 0.55 -2.45
H 0.75 0.00 -1.66
H 0.18 0.92 -2.77
C 1.72 -0.48 -3.43
C 1.87 -1.87 -2.81
O 0.64 -2.42 -2.36
C 0.79 -3.70 -1.75
H -0.07 4.45 -5.35
H 1.50 3.97 -5.77
H 1.18 4.99 -4.28
H 2.40 3.63 -3.14
H 2.68 2.12 -4.16
H 1.30 2.51 -1.56
H 2.70 1.52 -1.62
H 2.68 -0.08 -3.78
H 1.10 -0.59 -4.32
H 2.51 -1.79 -1.93
H 2.45 -2.43 -3.55
H 1.26 -4.42 -2.42
H -0.09 -4.22 -1.36
H 1.32 -3.46 -0.82
C 4.07 -4.08 1.72